Data =
VASP calculation (PBE) on a geometry-optimized HfSc2Si4Ni4 structure.

Computed properties:
Total magnetization in μB/f.u.: 0.0
Electronic total energy in eV/cell: -151.72
Calculated volume in Å³/cell: 311

Cell lengths 3.8335, 6.4148, 12.6291 Å; angles 90.00, 90.00, 90.00 degrees
Space group Immm (No. 71)
Symmetry-distinct sites (fractional):
Hf1 0.0000 0.0000 0.0000
Sc1 0.0000 0.5000 0.1258
Si1 0.0000 0.0000 0.2179
Si2 0.0000 0.1942 0.5000
Ni1 0.0000 0.3032 0.3238

***

VASP calculation (PBE) on a geometry-optimized Hf2ScNi4Sn4 structure.

Computed properties:
Total magnetization in μB/f.u.: 0.0
Electronic total energy in eV/cell: -138.40
Calculated volume in Å³/cell: 393

Cell lengths 4.1625, 6.8880, 13.6939 Å; angles 90.00, 90.00, 90.00 degrees
Space group Immm (No. 71)
Symmetry-distinct sites (fractional):
Hf1 0.0000 0.0000 0.1316
Sc1 0.0000 0.5000 0.0000
Ni1 0.0000 0.2038 0.3194
Sn1 0.0000 0.2923 0.5000
Sn2 0.0000 0.5000 0.2092

***

VASP calculation (PBE) on a geometry-optimized HfScNiSn structure.

Computed properties:
Total magnetization in μB/f.u.: 2.7
Electronic total energy in eV/cell: -103.48
E above lowest polymorph in meV/atom: 0
Calculated volume in Å³/cell: 303

Cell lengths 6.7185, 6.7185, 6.7185 Å; angles 90.00, 90.00, 90.00 degrees
Space group F-43m (No. 216)
Symmetry-distinct sites (fractional):
Hf1 0.0000 0.0000 0.0000
Sc1 0.2500 0.2500 0.2500
Ni1 0.2500 0.2500 0.7500
Sn1 0.0000 0.0000 0.5000

***

VASP calculation (PBE) on a geometry-optimized HfScTlNi structure.

Computed properties:
Total magnetization in μB/f.u.: 2.0
Electronic total energy in eV/cell: -94.57
E above lowest polymorph in meV/atom: 0
Calculated volume in Å³/cell: 303

Cell lengths 6.7180, 6.7180, 6.7180 Å; angles 90.00, 90.00, 90.00 degrees
Space group F-43m (No. 216)
Symmetry-distinct sites (fractional):
Hf1 0.0000 0.0000 0.0000
Sc1 0.2500 0.2500 0.2500
Tl1 0.0000 0.0000 0.5000
Ni1 0.2500 0.2500 0.7500

***

- The lowest electronic total energy belongs to which entry?
  HfSc2Si4Ni4

***

- The lowest electronic total energy belongs to which entry?
  HfSc2Si4Ni4

***

- Which of these has the highest total magnetization?
  HfScNiSn

=====

This record from Alexandria via LeMat-Bulk describes crystalline Al2PbAu9 at its relaxed geometry. The functional is GGA-PBE.

```
Al2PbAu9
1.0
-2.170 2.401 -0.085
-3.642 -3.022 7.658
6.672 6.038 0.265
Al Au Pb
2 9 1
Cartesian
-0.204 -0.002 5.193 Al
3.234 3.018 2.729 Al
-1.201 1.200 2.910 Au
3.632 5.522 1.623 Au
-2.773 -0.104 6.214 Au
-1.821 -1.511 3.829 Au
3.336 3.019 0.132 Au
1.515 1.508 3.961 Au
2.060 4.218 4.927 Au
0.753 2.917 1.509 Au
0.106 2.501 6.329 Au
0.000 0.000 0.000 Pb
```

Results
As for the space group: P6/mmm (191). The formation energy comes out at -0.1345 eV per atom. The calculation puts the density of states at the Fermi level at 3.777 states/eV/cell. The value obtained for the size of the total moment is 0.00 μB/cell. For the calculated total energy, the calculation gives -3.525 eV/atom.

=====

## Pm2ZnCuS5 (PBE)

Data for Pm2ZnCuS5 after structural relaxation.

Unit cell a=3.9187 b=16.0112 c=11.9168 alpha=90.00 beta=90.00 gamma=90.00
Closest atoms and distances in Å follow each position.
Space group Cmc2_1 (No. 36)
Unique sites:
Pm: 0.0000 0.1079 0.0000 (multiplicity 4)  8 S 2.85-3.07
Pm: 0.0000 0.1393 0.6352 (multiplicity 4)  7 S 2.85-2.96, 1 Cu 3.17
Zn: 0.0000 0.4327 0.7625 (multiplicity 4)  4 S 2.33-2.36
Cu: 0.0000 0.2031 0.3838 (multiplicity 4)  4 S 2.29-2.37
S: 0.0000 0.0562 0.3670 (multiplicity 4)  2 Zn 2.33, 1 Cu 2.36
S: 0.0000 0.2852 0.9825 (multiplicity 4)  2 Cu 2.29
S: 0.0000 0.3170 0.6423 (multiplicity 4)  1 Zn 2.34
S: 0.0000 0.3432 0.3199 (multiplicity 4)  1 Cu 2.37
S: 0.0000 0.4870 0.0964 (multiplicity 4)  1 Zn 2.36

Summary:
Raw formation energy (eV/atom): -1.26

Wanted =
Your job: set down the data above from the line with "0.0000 0.1316" to the end without altering anything.

Response =
Hf1 0.0000 0.0000 0.1316
Sc1 0.0000 0.5000 0.0000
Ni1 0.0000 0.2038 0.3194
Sn1 0.0000 0.2923 0.5000
Sn2 0.0000 0.5000 0.2092

***

VASP calculation (PBE) on a geometry-optimized HfScNiSn structure.

Computed properties:
Total magnetization in μB/f.u.: 2.7
Electronic total energy in eV/cell: -103.48
E above lowest polymorph in meV/atom: 0
Calculated volume in Å³/cell: 303

Cell lengths 6.7185, 6.7185, 6.7185 Å; angles 90.00, 90.00, 90.00 degrees
Space group F-43m (No. 216)
Symmetry-distinct sites (fractional):
Hf1 0.0000 0.0000 0.0000
Sc1 0.2500 0.2500 0.2500
Ni1 0.2500 0.2500 0.7500
Sn1 0.0000 0.0000 0.5000

***

VASP calculation (PBE) on a geometry-optimized HfScTlNi structure.

Computed properties:
Total magnetization in μB/f.u.: 2.0
Electronic total energy in eV/cell: -94.57
E above lowest polymorph in meV/atom: 0
Calculated volume in Å³/cell: 303

Cell lengths 6.7180, 6.7180, 6.7180 Å; angles 90.00, 90.00, 90.00 degrees
Space group F-43m (No. 216)
Symmetry-distinct sites (fractional):
Hf1 0.0000 0.0000 0.0000
Sc1 0.2500 0.2500 0.2500
Tl1 0.0000 0.0000 0.5000
Ni1 0.2500 0.2500 0.7500

***

- The lowest electronic total energy belongs to which entry?
  HfSc2Si4Ni4

***

- The lowest electronic total energy belongs to which entry?
  HfSc2Si4Ni4

***

- Which of these has the highest total magnetization?
  HfScNiSn

=====

This record from Alexandria via LeMat-Bulk describes crystalline Al2PbAu9 at its relaxed geometry. The functional is GGA-PBE.

```
Al2PbAu9
1.0
-2.170 2.401 -0.085
-3.642 -3.022 7.658
6.672 6.038 0.265
Al Au Pb
2 9 1
Cartesian
-0.204 -0.002 5.193 Al
3.234 3.018 2.729 Al
-1.201 1.200 2.910 Au
3.632 5.522 1.623 Au
-2.773 -0.104 6.214 Au
-1.821 -1.511 3.829 Au
3.336 3.019 0.132 Au
1.515 1.508 3.961 Au
2.060 4.218 4.927 Au
0.753 2.917 1.509 Au
0.106 2.501 6.329 Au
0.000 0.000 0.000 Pb
```

Results
As for the space group: P6/mmm (191). The formation energy comes out at -0.1345 eV per atom. The calculation puts the density of states at the Fermi level at 3.777 states/eV/cell. The value obtained for the size of the total moment is 0.00 μB/cell. For the calculated total energy, the calculation gives -3.525 eV/atom.

=====

## Pm2ZnCuS5 (PBE)

Data for Pm2ZnCuS5 after structural relaxation.

Unit cell a=3.9187 b=16.0112 c=11.9168 alpha=90.00 beta=90.00 gamma=90.00
Closest atoms and distances in Å follow each position.
Space group Cmc2_1 (No. 36)
Unique sites:
Pm: 0.0000 0.1079 0.0000 (multiplicity 4)  8 S 2.85-3.07
Pm: 0.0000 0.1393 0.6352 (multiplicity 4)  7 S 2.85-2.96, 1 Cu 3.17
Zn: 0.0000 0.4327 0.7625 (multiplicity 4)  4 S 2.33-2.36
Cu: 0.0000 0.2031 0.3838 (multiplicity 4)  4 S 2.29-2.37
S: 0.0000 0.0562 0.3670 (multiplicity 4)  2 Zn 2.33, 1 Cu 2.36
S: 0.0000 0.2852 0.9825 (multiplicity 4)  2 Cu 2.29
S: 0.0000 0.3170 0.6423 (multiplicity 4)  1 Zn 2.34
S: 0.0000 0.3432 0.3199 (multiplicity 4)  1 Cu 2.37
S: 0.0000 0.4870 0.0964 (multiplicity 4)  1 Zn 2.36

Summary:
Raw formation energy (eV/atom): -1.26